Page 52 of Lust

“I can do that for you,” she eventually says. “We could have had a lot of fun. It’s a bummer you had to take me on as your intern.”

With that, she walks out of the bathroom and quietly shuts the metal door behind her, and I want to weep.



What comes next are molecular data, not part of the page.
- - -
Entry 1:
ORCA calculation (ωB97M-V with the def2-TZVPD basis set) on C2H2IN in the gas phase in a non-equilibrium geometry.

- Max |F|: 4.2 eV Å⁻¹
- Gap between HOMO and LUMO: 8.3 eV
- SMILES string: N#CCI
- Energy relative to the best compared isomer or geometry (same formula, charge and spin): 16.5 kcal/mol

```
! RIJCOSX wB97M-V def2-TZVPD def2/J DEFGRID3
* xyz 0 1
I 2.192 -0.813 0.003
N -0.275 2.133 0.001
C -0.389 1.000 0.035
C -0.281 -0.405 -0.031
H -0.425 -0.850 0.862
H -0.822 -1.065 -0.870
*
```

Entry 2:
ORCA calculation (ωB97M-V with the def2-TZVPD basis set) on a molecular structure, C55H52AsCdN5SSe.

- Max |F|: 0.6 eV Å⁻¹
- Gap between HOMO and LUMO: 7.4 eV

```
! RIJCOSX wB97M-V def2-TZVPD def2/J DEFGRID3
* xyz 0 1
Cd -0.329 0.839 -0.246
Se -1.710 0.774 2.023
As 2.647 0.865 0.004
S -0.269 4.101 -0.359
N -2.311 -8.557 0.891
N -2.302 -6.187 0.642
N -1.074 -1.869 -0.823
N -2.872 4.739 -0.712
N -1.405 5.483 -2.281
C -1.868 -2.286 0.167
C -0.026 -0.314 5.697
C 2.112 -3.057 1.137
C -0.275 3.283 3.384
C 6.442 2.512 -0.638
C 2.249 -1.781 -1.340
C -3.364 0.268 -4.609
C -2.451 6.049 -3.107
C -0.352 1.082 -2.427
C 7.212 1.451 -1.101
C 5.106 2.313 -0.324
C -3.381 -8.443 1.675
C 2.397 -1.054 -0.167
C 3.017 1.105 4.234
C -3.731 -3.572 1.171
C 2.055 -3.153 -1.274
C 0.332 2.025 5.459
C 2.972 1.502 2.903
C 6.641 0.194 -1.244
C 2.771 0.551 1.916
C 0.215 2.207 -5.403
C 0.978 0.946 7.642
C -3.955 -7.223 1.978
C -3.389 -6.083 1.415
C 2.850 -0.234 4.564
C -0.994 -1.726 3.877
C -1.596 4.802 -1.131
C 2.346 -1.687 1.081
C -2.067 0.274 -4.115
C 1.778 1.951 -7.224
C -1.271 -2.397 -2.029
C 0.418 0.881 6.242
C -2.273 -3.313 -2.302
C 0.560 2.405 -6.732
C -0.700 0.792 3.666
C 4.537 1.048 -0.452
C -1.715 1.061 -3.013
C 1.076 1.540 -4.530
C -1.826 -7.407 0.425
C 2.662 1.317 -6.361
C 2.315 1.127 -5.030
C -4.020 1.833 -2.918
C -4.347 1.056 -4.021
C -3.096 -3.726 -1.270
C 5.305 -0.011 -0.922
C 2.571 -0.794 2.242
C -3.344 3.977 0.435
C -2.881 -3.225 0.006
C 2.620 -1.182 3.576
C 1.972 -3.784 -0.038
C -3.977 -4.761 1.725
C -2.726 1.820 -2.414
C 0.791 1.263 -3.096
C -0.214 2.004 4.178
C -0.573 -0.385 4.416
H -0.941 -7.474 -0.201
H -1.989 6.592 -3.927
H 2.042 2.102 -8.263
H 0.062 -1.228 6.280
H 2.273 -1.280 -2.301
H -3.897 -4.435 -1.447
H -5.355 1.059 -4.418
H -3.575 5.145 -1.305
H 1.711 1.220 -2.526
H -0.730 2.591 -5.040
H -3.939 3.120 0.117
H -3.951 4.608 1.086
H 0.700 2.968 5.856
H 1.793 -4.852 0.011
H -1.695 -1.846 1.140
H -0.466 5.441 -2.633
H 2.478 -2.221 3.851
H 2.045 -3.563 2.093
H 4.868 -0.996 -1.025
H 0.363 4.045 3.834
H -4.223 -2.713 1.624
H 3.168 1.841 5.014
H -2.477 2.407 -1.536
H -2.053 -1.731 3.613
H 6.883 3.496 -0.531
H 1.128 -0.053 8.054
H 0.296 1.483 8.306
H -1.298 3.665 3.351
H -3.103 5.280 -3.534
H -2.492 3.607 0.994
H 7.237 -0.635 -1.608
H 3.627 0.979 -6.721
H -4.691 -4.786 2.541
H -4.818 -7.158 2.628
H -0.431 -1.968 2.971
H 1.935 1.472 7.661
H 4.502 3.143 0.021
H -1.305 -0.329 -4.594
H 2.885 -0.540 5.602
H 3.098 2.546 2.640
H 3.020 0.646 -4.357
- - -

Sofia smiles sweetly at me from across the table and my chest constricts like a vise. I texted her as soon as I left the church last night, asking her to meet up for coffee. Her enthusiastic response made me feel like an asshole.

I devoured her sister in the bathroom of the church, and she doesn’t have the slightest clue.

Fuck, what if Hector found out? He’d never speak to me again. I’d never be included as an honorary family member again. No more Sunday barbeques or praying at the Thanksgiving meal or being called “Uncle Brandon” by his grandchildren. I’d be cut out from the haven I found after all the warmth seemed to leave the world with my mother.

Inserted here: calculated molecules >
____________
[1]
Below is an isolated ion of composition C5H11O and charge -1, with properties calculated with the ωB97M-V functional and the def2-TZVPD basis.

Each line ends with the Mulliken charge.
Positions of all 17 atoms, in Å:
C1 1.4231 -1.0743 -0.7956  -1.4959
C2 0.4891 0.1141 -0.3918  0.3884
C3 1.0309 1.0863 0.6975  -1.2450
C4 -0.7944 -0.5902 0.1528  -0.9079
C5 -1.9649 0.4500 0.2869  -0.2671
O1 -2.7147 0.3246 -0.7562  -0.8826
H1 2.3361 -0.6869 -1.1383  0.4513
H2 1.4958 -1.7040 0.0660  0.3415
H3 0.9447 -1.5222 -1.6838  0.3483
H4 0.3428 0.6474 -1.3135  0.2936
H5 1.3855 0.3981 1.5931  0.2222
H6 0.2166 1.6569 0.9613  0.3704
H7 1.7323 1.7077 0.2036  0.3852
H8 -1.2682 -1.2529 -0.6757  0.1866
H9 -0.6618 -1.1284 1.0341  0.6200
H10 -1.5633 1.4693 0.4250  0.1036
H11 -2.4296 0.1046 1.3347  0.0876

Its energy relative to the best compared isomer or geometry (same formula, charge and spin) is 110.6 kJ/mol. Its net charge is -1.

[2]
Below is C19H22N6ORuS4 as an isolated structure, with properties calculated with the ωB97M-V functional and the def2-TZVPD basis.

Each line ends with the Mulliken charge.
Positions of all 53 atoms, in Å:
Ru1 -2.2638 -0.7293 -0.6563  0.3950
C1 -0.2928 4.4186 0.1713  -0.8804
C2 -1.3114 3.9783 1.2128  -0.7801
N1 -1.0486 2.6394 1.7451  -0.1775
C3 -1.3367 1.4834 1.1561  0.4815
S1 -2.1861 1.5251 -0.3968  -0.2189
N2 -1.0078 0.3852 1.8003  -1.2201
N3 -1.3290 -0.7551 1.1171  0.8150
C4 -1.1947 -1.8917 1.7013  0.2167
C5 -0.5691 -2.0804 3.0401  -1.4851
C6 -1.7529 -3.0443 0.9438  0.9546
C7 -1.6235 -4.3503 1.3547  -0.5936
C8 -2.2359 -5.3578 0.6163  -0.4933
C9 -2.9494 -5.0303 -0.5193  -0.8017
C10 -3.0092 -3.7007 -0.8962  -0.1993
N4 -2.4329 -2.7350 -0.1753  0.0333
H1 -0.5065 5.4396 -0.1463  0.4284
H2 -0.3296 3.7748 -0.7083  0.2867
H3 0.7179 4.3865 0.5802  0.2450
H4 -2.3200 3.9956 0.8026  0.3614
H5 -1.2954 4.6555 2.0643  0.3902
H6 -0.5315 2.5603 2.6081  0.2764
H7 -0.3897 -1.1194 3.5056  0.3595
H8 0.3865 -2.6017 2.9313  0.3026
H9 -1.2104 -2.6791 3.6890  0.4360
H10 -1.0423 -4.5759 2.2378  0.4350
H11 -2.1449 -6.3909 0.9246  0.4470
H12 -3.4560 -5.7833 -1.1055  0.4261
H13 -3.5272 -3.3815 -1.7900  0.4608
C11 -3.2202 -0.9167 -3.7529  -0.6714
O1 -3.6505 -0.7460 -2.3794  -0.3518
H14 -2.6695 -0.0432 -4.0953  0.3402
H15 -4.0890 -1.0942 -4.3824  0.2838
H16 -2.5711 -1.7864 -3.7809  0.3186
H17 -4.3228 -0.0574 -2.3549  0.2824
S2 3.8816 -1.3721 1.6898  -0.2773
C12 2.8241 -1.0134 0.4990  0.1782
S3 1.4890 -2.0536 0.0987  -0.0448
C13 0.8893 -0.8910 -1.0334  0.2990
N5 1.6286 0.1475 -1.1481  -0.6947
N6 2.7136 0.0896 -0.3195  0.6492
C14 3.5901 1.2347 -0.3591  0.4103
C15 4.9493 1.1057 -0.1264  -0.5211
C16 5.7535 2.2364 -0.1845  -0.6640
C17 5.2115 3.4764 -0.4796  -0.4750
C18 3.8492 3.5873 -0.7281  -0.5808
C19 3.0346 2.4691 -0.6710  -0.2312
S4 -0.5329 -1.1364 -2.0306  -0.1678
H18 5.3821 0.1411 0.0824  0.3586
H19 6.8151 2.1375 0.0007  0.3761
H20 5.8460 4.3518 -0.5218  0.3925
H21 3.4164 4.5506 -0.9643  0.3727
H22 1.9746 2.5471 -0.8672  0.5170
____________

I’d lose everything.

I clear my throat. “I have something to tell you.”

Her eyes widen before lowering to her lap. “This doesn’t sound good.”

The dejection in her voice makes me want to reach out and grab her hand. “Sofia, I’m so sorry. I never should have started something with you when I’ve been struggling with… Having my own struggles. It isn’t the right time.”

She licks her lips. “What do you mean?”

I let out a long sigh. “I’ve been having some internal struggles. Struggles with sin if I’m being completely honest. It wouldn’t be fair to you to start something now.”

“We all struggle with sin. Anyone who says they don’t is a liar.”

“I agree with that, but this particular sin…” I shake my head. “If you knew what it was, I’m not sure if you would be so forgiving.”

Those clear brown eyes meet mine. “Try me.”

There’s a challenge in those eyes, and it’s as clear and sparkling as the water glass in my hand.

If you’re going to dump me, at least have the decency to tell me the truth.

I ought to be as honest with her as I can, leaving Mariana out of it, of course. It’s a pastor’s duty to show his humanity when appropriate. The fact that I’m terrified of Hector finding out only reinforces that it’s the right thing to do. It’s time to stop being selfish.

____________
Formula: C6H11BrN
Source: the OMol25 dataset
Level of theory: ωB97M-V/def2-TZVPD

Properties
Frontier orbital gap   10.508 eV
Calculated total energy   -77923.779 eV
HOMO   -14.19 eV

Geometry as ORCA input:
```
! RIJCOSX wB97M-V def2-TZVPD def2/J DEFGRID3
* xyz 1 1
C -0.385 2.546 -0.097
C -0.327 1.581 -1.036
C -0.388 1.529 1.079
C -0.512 0.500 -0.100
C 0.581 -1.564 1.065
C 0.422 -1.457 -1.323
N 0.435 -0.601 -0.148
Br -2.338 -0.443 -0.004
H -0.342 3.663 -0.040
H -0.530 1.729 -2.153
H 0.403 1.394 1.700
H -1.249 1.477 1.744
H -0.178 -2.294 0.991
H 1.544 -1.989 1.073
H 0.442 -0.921 1.959
H -0.456 -2.188 -1.100
H 0.287 -0.893 -2.229
H 1.297 -2.019 -1.325
H 1.293 -0.050 -0.057
*
```

~~~~~

Entry 1:
Below is a cluster of 2 separate species, C5H15NO in total at a distorted geometry, with properties calculated with wB97M-V/def2-TZVPD.

Each line ends with the Löwdin charge.
Atoms and positions in Å:
1 N -0.077 0.361 0.108  -0.2462
2 C -0.771 -0.734 -0.558  -0.1224
3 C -0.848 2.145 1.541  -0.0935
4 C 2.212 0.583 -0.727  -0.1061
5 C -0.825 0.666 1.323  -0.2950
6 C 1.297 0.043 0.387  -0.2942
7 H -0.248 -0.947 -1.506  0.0798
8 H -1.820 -0.478 -0.785  0.0936
9 H -0.758 -1.646 0.063  0.0903
10 H -1.286 2.686 0.685  0.0814
11 H 0.148 2.569 1.753  0.0765
12 H -1.492 2.302 2.422  0.0740
13 H 2.241 -0.068 -1.617  0.0650
14 H 3.214 0.593 -0.266  0.0686
15 H 1.963 1.608 -1.049  0.0758
16 H -0.329 0.122 2.150  0.1207
17 H -1.805 0.183 1.142  0.1101
18 H 1.690 0.583 1.270  0.1155
19 H 1.622 -1.012 0.465  0.1186
20 O -1.637 -3.466 -2.389  -0.0879
21 H -0.878 -3.581 -1.773  0.0427
22 H -1.613 -2.514 -2.638  0.0328

Its relative energy (zero: lowest compared OMol25 entry of this formula, charge and spin) is 1.396 eV. The calculated total energy is -8964.9622 eV. The value obtained for the lowest unoccupied orbital energy is 0.844 eV. As for the spin multiplicity: 1.



Entry 2:
Below is a structure of composition C34H42BrCl3MgN5OS at a distorted geometry, with properties calculated with wB97M-V/def2-TZVPD.

Each line ends with the Löwdin charge.
Atoms and positions in Å:
1 Mg -0.563 -0.119 -1.432  0.5160
2 C 5.188 0.890 2.643  -0.0451
3 C 3.821 0.437 3.151  -0.5619
4 C 3.435 1.397 4.272  -0.0565
5 C 4.040 -0.938 3.775  -0.0362
6 C 2.840 0.387 2.004  -0.1236
7 C 3.139 -0.316 0.833  0.0134
8 C 2.239 -0.358 -0.183  -0.1108
9 N 1.069 0.295 -0.140  0.0221
10 C 0.788 1.025 0.944  -0.1916
11 C 1.650 1.090 2.020  0.0694
12 C -0.547 1.700 0.929  -0.1929
13 C -0.993 2.514 1.962  0.0667
14 C -2.252 3.086 1.922  -0.1164
15 C -3.043 2.785 0.791  0.0325
16 C -2.508 1.999 -0.205  -0.1045
17 N -1.296 1.452 -0.141  0.0316
18 C -2.788 4.023 2.998  -0.5527
19 C -4.123 3.535 3.554  -0.0459
20 C -1.865 4.195 4.203  -0.0630
21 C -3.014 5.418 2.366  -0.0339
22 H 5.889 0.912 3.482  0.0956
23 H 5.138 1.919 2.263  0.0999
24 H 5.598 0.254 1.866  0.0797
25 H 4.232 1.407 5.013  0.0917
26 H 2.527 1.106 4.822  0.0979
27 H 3.360 2.411 3.893  0.0902
28 H 4.805 -0.872 4.519  0.0834
____________

This is about Sofia, not Hector.

I shut my eyes and let out a heavy breath. “I’ve been struggling with lust lately…”

“Oh.” Her eyes grow wide before lowering to her lap. “Do you mean…” She licks her lips. “Did you maybe watch something...”

Her cheeks darken, and my chest sinks. She thinks I watched porn. She thinks I would break up with her over something so trifling, because the people who raised her wouldn’t find it trifling at all. Hector and Ana are staunchly anti-porn and believe that even one viewing is the equivalent of infidelity.

Fuck. They would loathe me if they knew what I really did.

“No,” I say. “It’s worse than that. I… I messed around with a woman.”

Her head jerks up, those big eyes of hers widening. It would be so much worse if she knew it was Mariana. That the woman who consumes my thoughts at all hours of the day is her sister.

“Is she someone you have feelings for?” she asks.

“No.” The word comes out too quickly to sound sincere even to my own ears. “It’s only lust. She’s not someone I’d ever want to be in a relationship with.”

Sofia lets out a breath, her features softening. “I see. So she’s kind of…easy.”

The word steals the breath from my lungs.Easy. It’s such an ugly word to describe a woman like Mariana. Such an ugly word in general, as if a woman’s worth is determined by how difficult she is for a man to acquire.